Rising food prices and the worsening plight of large segments of the world’s population as a result of the Ukrainian crisis are exacerbated by known and unhealed distortions in food systems. The same anomalies constantly threaten global food security, understood as access to food(food security). To the topic, iPES FOOD devotes a special report with the eloquent title, ‘Another Perfect Storm?‘ (1)
Rising food prices, the impact of the Ukrainian crisis
The tragedy of dead, wounded, displaced people and the destruction of what has been built in lifetimes of work is added to hunger as a systematic consequence of violence. In Ukraine as in more than 40 active conflict zones around the world-Yemen, Syria, Afghanistan, Ethiopia, Sahel, etc. – at the expense of more than two billion people, half of whom are in extreme poverty.
The effects of the Russian-Ukrainian conflict reverberate severely on global agri-food markets, among others. Indeed, the blockade of Ukrainian and Russian grain exports is in addition toexport restrictions imposed in 20 countries. To protect the domestic market from price volatility, but also to create temporary shortages and price increases.
Starvation price increases
The rising food (and energy and commodity) prices we are facing in advanced economies are likely to exacerbate hunger in many of the world’s poorest and most vulnerable regions.
Wheat prices reached a 14-year high in March, up 20 percent from February and up 34 percent in a year, according to the FAO. Corn also reached record prices, due to poor harvest forecasts. And soaring fertilizer prices-with the Russian and Ukrainian fertilizer halt-exacerbates the crisis for ‘conventional’ farmers. (2)
Africa most at risk
Africa is the region most at risk. Nearly 40 percent of total African wheat imports come from Russia and Ukraine. In Eritrea it accounts for 100%. In Somalia more than 90 percent and in the Democratic Republic of Congo more than 80 percent.
The price of bread has nearly doubled in Sudan and increased by 70 percent in Lebanon. Meanwhile, price volatility is already spreading to soybean, corn and rice markets.
According to the FAO, the global number of undernourished people will increase by 13.1 million in the near term (2022/23), including 6.4 million in Asia-Pacific and 5.1 million in sub-Saharan Africa. After the pandemic, the war. And the UN goal of eradicating hunger by 2030 seems further away.
Structural weaknesses in food systems
Amplifying the effects of the conflict in Ukraine on food security are a series of malfunctions in agrifood systems that have already emerged in the global food price crisis of 2007-2008, the subsequent price spikes of 2010-2012, and the crisis from Covid-19 in 2020-2021.
iPES FOOD analyzes the fundamentals.
Addictions to food imports
In the face of crises such as the current one, some countries are highly vulnerable because of a dependence on imported food (and fertilizer) that descends from several phenomena. As early as the colonial era, a change in the traditional diet was initiated with the introduction of wheat, rice and corn crops. The same then conveyed through international aid, even to countries where it is impossible to grow them.
At the same time, even where these crops were in use, cash crops took over. In Africa, the transition began with structural adjustment programs in the 1980s. But the trend is widespread.
For example, tobacco cultivation is believed to have replaced vegetables and legumes in Bangladesh, as well as cassava, millet and sweet potatoes in a number of African countries.
In contrast, the development of high-yielding wheat varieties during the ‘green revolution’ in India led to the replacement of legumes and rice with wheat monocultures.
The grain merchants’ club
Exacerbating many countries’ difficulties is their dependence on a limited number of exporters. According to USDA data, only 7 countries plus the EU account for 90 percent of world wheat exports and only 4 countries account for 87 percent of world corn exports.
Instead, the world grain merchants are four companies, controlling 70-90%. They are known as ABCD, meaning Archer-Daniels Midland, Bunge, Cargill, Dreyfus. These giants, along with silo operators and large farmers, certainly hold large grain reserves, although the data are secret.
The debt spiral
The same import-dependent countries are also highly indebted. This creates a vicious cycle in which the need for liquidity to pay debts and import food prevents any improving investment for the future.
Despite repeated promises-at every crisis-to intervene in the debt of disadvantaged countries, nothing has been done. In 2020, at the height of the pandemic, 62 developing countries spent more on repaying debt than on health care.
The stress caused by the 2007-2008 price crisis and dependence on food imports was the cause of popular uprisings with dramatic outcomes, iPES FOOD recalls. But the past does not always teach.
Unsustainable agricultural production
In response to rising food prices and growing food security concerns, there have been increased calls for countries to shift production patterns: from fuel to food, from feed to food, or from export-oriented cash crops to locally consumed commodities. (3)
Holding back this transition to sustainable, resilient and diverse food systems, however, are several obstacles:
– specialization in monocultures (in the U.S. ‘corn belt’ or the Argentine ‘soybean belt,’ for example) rests on massive investment, training, equipment, logistical networks and support policies that are impossible to dismantle at a stroke,
– biofuel production is increasingly being encouraged by governments in the face of rising oil and gas prices,
– food systems, supply chain and food industry are now strongly structured on the current global grain and corn exchange systems,
– farmers around the world are increasingly dependent on synthetic fertilizers. Global demand for the three main ones (nitrogen, phosphate, and potassium) increased by 8.5 percent from 2002 to 2016. Only 6 crops (corn and wheat first and foremost) account for two-thirds of demand, and a handful of exporting countries dominate in trade. The tragedy is that the more synthetic fertilizers are used, the more the soil is depleted, again filled with the same fertilizers for quick and abundant harvests.
Markets between opacity and speculation
Another underlying flaw that has turned the Ukraine crisis into a global food security crisis is the opaque and dysfunctional nature of grain markets, which are subject to heavy speculation.
Some countries have increased the planting of wheat in anticipation of the Russian invasion: India, Australia, the United States, Canada, Argentina and South Africa.
Currently, the relationship between stock of grain and overall consumption is at 29.7 percent (down slightly from 29.8 percent in 2020/2021) and remains satisfactory and only slightly below previous years for wheat (35.3 percent) and corn (25.8 percent); at 37 percent, the ratios of stock of rice and consumption are actually higher than previous years.
‘Supply disruptions are occurring as new/ diverted grain shipments are expected, leading to temporary shortages and rising prices, but at the moment there is no global food supply shortage,’ iPES FOOD says.
The financialization of commodities
An important role in the price shock then goes to commodity speculation, aided by a lack of transparency, particularly on grain stocks. Commodity futures play an important role in determining grain prices, providing liquidity to markets and thus making them work.
However, ‘excessive speculation’ alters the logic based on supply and demand. And when the object of the ‘bets’ is food, the world’s poorest people are affected. In 2007-2008, a massive influx of speculative financial investment contributed to soaring futures prices and what is now being called a global food price crisis.
Poverty and food insecurity
Another structural weakness that the current crisis has exposed is the fact that hundreds of millions of people do not have the income or resources to adapt to sudden shocks.
~~~
No. 1
Structure and computed powder XRD pattern of LiV2NiO6 (a cell relaxed with PBE+U; CuKα).
Neutral-atom scattering factors, no anomalous dispersion.

The 6 most intense peaks (2θ from 10° to 90°), in order of rising 2θ:
14.06°, d = 6.300 Å, I 43, (0 1 0); 19.28°, d = 4.605 Å, I 24, (1 0 1); 20.55°, d = 4.321 Å, I 24, (0 1 -1); 28.33°, d = 3.150 Å, I 100, (1 2 0); 28.43°, d = 3.140 Å, I 46, (1 0 2); 34.50°, d = 2.600 Å, I 41, (2 0 0)

Structural model:
```
data_LiV2NiO6
_chemical_formula_sum 'Li2 V4 Ni2 O12'
_space_group_name_H-M_alt 'P -1'
_space_group_IT_number 2
_space_group_name_Hall '-P 1'
_cell_length_a 5.656
_cell_length_b 6.763
_cell_length_c 7.042
_cell_angle_alpha 77.83
_cell_angle_beta 74.75
_cell_angle_gamma 70.03
loop_
_atom_site_label
_atom_site_fract_x
_atom_site_fract_y
_atom_site_fract_z
Li1 0.246 0.287 0.238
V1 0.198 0.857 0.117
V2 0.244 0.361 0.717
Ni1 0.254 0.913 0.580
O1 0.093 0.607 0.181
O2 0.160 0.001 0.312
O3 0.206 0.969 0.862
O4 0.226 0.615 0.625
O5 0.353 0.212 0.515
O6 0.433 0.282 0.901
```

=====

No. 2
Structure and computed powder XRD pattern of LiVBO3 (a cell relaxed with PBE+U; CuKα).
Neutral-atom scattering factors, no anomalous dispersion.

The 6 most intense peaks (2θ from 10° to 90°), in order of rising 2θ:
21.66°, d = 4.104 Å, I 100, (1 1 0); 33.35°, d = 2.686 Å, I 29, (1 2 0); 35.70°, d = 2.515 Å, I 93, (1 1 1); 37.97°, d = 2.370 Å, I 54, (3 0 0); 44.12°, d = 2.053 Å, I 34, (1 2 1); 54.78°, d = 1.676 Å, I 39, (3 1 1)

Structural model:
```
data_LiVBO3
_chemical_formula_sum 'Li3 V3 B3 O9'
_space_group_name_H-M_alt 'P -6'
_space_group_IT_number 174
_space_group_name_Hall 'P -6'
_cell_length_a 8.2072
_cell_length_b 8.2072
_cell_length_c 3.1822
_cell_angle_alpha 90.00
_cell_angle_beta 90.00
_cell_angle_gamma 120.00
loop_
_atom_site_label
_atom_site_fract_x
_atom_site_fract_y
_atom_site_fract_z
Li1 0.0304 0.7360 0.0000
V1 0.3931 0.0218 0.5000
B1 0.0000 0.0000 0.5000
B2 0.3333 0.6667 0.0000
B3 0.6667 0.3333 0.0000
O1 0.0975 0.9014 0.5000
O2 0.1391 0.5596 0.0000
O3 0.4708 0.2341 0.0000
```
~~~
• End of the calculated crystals:
More than 50 percent of farmers and rural workers live below the poverty line in several countries in the Global South with the largest rural populations.
The poorest people in low-income countries spend more than 60 percent of their income on food. Under this condition, even small price increases can have devastating impacts, vulnerabilities that have been cruelly exposed by the Covid-19 pandemic.
Climate change
Climate shocks now regularly plague agriculture, creating persistent vulnerability and uncertainty in global markets. The IPCC estimates that climate change has reduced agricultural productivity growth by 21 percent since 1961 and up to 34 percent in Africa and Latin America.
Major agricultural regions are currently facing the worst drought in decades, including much of West Asia and North Africa, the Horn of Africa, parts of Brazil and Argentina, and the North American Midwest.
Famine and instability
After four years without rain and years of unsustainable resource management (including through mining practices), Madagascar is facing famine.
Sri Lanka is experiencing its worst economic crisis in 70 years, including food shortages and power outages, as spikes in global food prices have combined with economic mismanagement, including a failed transition to organic farming.
The countries of the Sahel (Burkina Faso, Mali, and Niger in particular), Kenya, Ethiopia, Sudan, and South Sudan were already experiencing socioeconomic instability and climate shocks before the Ukraine crisis and are now particularly vulnerable.
According to the UN Global Crisis Response Group, some 69 countries-home to 1.2 billion people-are severely or significantly exposed to food, energy and financial instability.
In this context, even underfunded humanitarian agencies struggle to keep up. Even social safety nets in rich and middle-income countries are under pressure. In the United Kingdom, the world’s fifth-largest economy, 1 in 10 households are likely to draw on food banks as food prices rise in the coming months.
Myopic solutions
In the face of the crisis, there has been no shortage of short-sighted proposals for solutions. Three examples.
A) Suspension of environmental regulation to ‘feed the world’
At the G7 in April 2022, World Bank President David Malpass called for increased production of food, energy and fertilizer. TheInternational Food Policy Research Institute (IFPRI) immediately called on wheat producers to do everything possible to increase production.
In this groove, in the EU are threatened the intentions of
: by 2030 to halve pesticides, reduce fertilizers by 20 percent, convert 25 percent of agricultural soils to organic, and restore 30 percent of peatlands.
Pressed by agricultural lobbyists, the European Commission postponed two key legislative proposals-the Sustainable Use of Pesticides (SUR) regulation and nature restoration targets-and allowed member states to farm (even with chemicals) on land previously designated as ‘ecological focus areas. Similar measures have been proposed in the United States.
In Brazil, President Jair Bolsonaro has said that rising fertilizer prices justify the continued exploitation of the Amazon, including on indigenous lands, in search of minerals.
These policies, which exploit crises to demolish sustainable development, are called the ‘shock doctrine‘ by Naomi Klein.
B) New funding to AGRA
To answer to the effects of the current price increase on African countries also started the call for increased funding to the Alliance for a ‘Green Revolution’ in Africa (AGRA), launched in 2006 with the aim of ‘reducing food insecurity by 50 percent in at least 20 countries and doubling the incomes of 20 million smallholder households’ by 2020.
The program is largely funded by the
Bill and Melinda Gates Foundation
, but about a third of the $1 billion spent over the past decade comes from other multilateral agencies, including USAID, UKAID and the German Department for Development Cooperation (BMZ).
The stated goals are still there. And one wonders about the appropriateness of seeking an additional $1 billion to 2030, given that independent analyses show a 31 percent increase in hunger in countries where AGRA operated between 2006 and 2018.
C) New organisms and fragmentation
Further problem is the hasty creation of new bodies to deal with crises. A modus that ends up creating overlaps with pre-existing bodies, weakening their role.
For the Ukrainian crisis, a end of April, the German development minister called for the creation of a new alliance for food security global, bringing together donor countries, international organizations and the private sector to address the effects of the war in Ukraine and coordinate the distribution of food aid. And a UN Global Crisis Response Group (GCRG) on food, energy and finance was also quickly formed.
In addition, the crisis has prompted new calls for the creation of a scientific panel-an ‘IPCC for Food‘-to expedite scientific advice to policymakers.
How to avoid the next ‘perfect storm’
The meaty iPES FOOD special report concludes with a recommendation to take 5 steps to address the emergency and initiate a transformation of the food system.
1 – Provide financial assistance and debt relief to vulnerable countries,
2 – Crack down on commodity speculation, including by introducing a tax on funds indexed to these commodities,
3 – Build regional grain reserves and a global food aid apparatus suitable for prolonged crises,
4 – Diversify food production and trade systems. Shift to more resilient and locally adapted crops (water stress, for example) and overcome WTO (World Trade Organization) logics that have allowed highly subsidized agriculture in the Global North to decimate domestic production in other regions.
5 – Rebuild resilience and reduce harmful dependencies through diversity and agroecology, overcoming the dominance of industrial agriculture that has once again proven to be a failure in coping with a crisis.
Marta Strinati
# Someone pasted calculated crystals at this point
┌──
Computed powder diffractogram of Nb3VB4 for Cu Kα, 1.54184 Å, from the PBE geometry in Alexandria.

Atomic structure:
abc: 3.2766 4.7287 12.2540
angles: 90.00 90.00 90.00
Space group Immm (No. 71)
Asymmetric unit:
Nb 0.0000 0.0000 0.0000 [2 per cell]
Nb 0.0000 0.5000 0.1944 [4 per cell]
V 0.0000 0.0000 0.5000 [2 per cell]
B 0.0000 0.3174 0.3708 [8 per cell]

The 10 most intense peaks (2θ from 10° to 90°), in order of rising 2θ:
d/Å  Position (°2θ)  I_rel  h k l
3.091  28.9  44  0 1 3
3.063  29.2  11  0 0 4
2.466  36.4  100  1 1 2
2.364  38.1  26  0 2 0
2.042  44.4  10  0 0 6
1.963  46.3  19  1 0 5
1.638  56.1  11  2 0 0
1.510  61.4  12  1 2 5
1.384  67.7  15  1 3 2
1.331  70.8  15  1 1 8

~~~~~

1.
Structure and computed powder X-ray diffraction pattern of RbMgCr2Cl8 (the PBE geometry in Alexandria; Cu Kα (weighted mean of Kα1 and Kα2)).
Kinematic intensities with the Lorentz-polarization factor, no thermal factor.

Cell and atoms:
```
RbMgCr2Cl8
1.0
3.267 1.886 9.006
-3.267 1.886 9.006
0.000 -3.773 9.006
Rb Mg Cr Cl
1 1 2 8
direct
0.000 0.000 0.000
0.500 0.500 0.500
0.234 0.234 0.234
0.766 0.766 0.766
0.136 0.433 0.768
0.232 0.864 0.567
0.316 0.316 0.316
0.433 0.768 0.136
0.567 0.232 0.864
0.684 0.684 0.684
0.768 0.136 0.433
0.864 0.567 0.232
```

Largest 8 diffraction maxima, in order of rising 2θ, 2θ from 5° to 70°:
2theta  d (Å)  I/Imax
20.5  4.338  992
27.3  3.267  414
29.1  3.072  1000
29.8  3.002  518
33.9  2.645  570
48.2  1.886  543
49.1  1.854  362
57.7  1.597  365

---

2.
Structure and computed powder X-ray diffraction pattern of CeAl7Ga12 (the PBE geometry in Alexandria; Cu Kα (weighted mean of Kα1 and Kα2)).
Kinematic intensities with the Lorentz-polarization factor, no thermal factor.

Cell and atoms:
```
CeAl7Ga12
1.0
-4.795 4.795 4.795
4.795 -4.795 4.795
4.795 4.795 -4.795
Ce Al Ga
1 7 12
direct
0.000 0.000 0.000
0.000 0.000 0.500
0.000 0.500 0.000
0.000 0.500 0.500
0.500 0.000 0.000
0.500 0.000 0.500
0.500 0.500 0.000
0.500 0.500 0.500
0.115 0.353 0.762
0.238 0.590 0.353
0.238 0.885 0.647
0.353 0.238 0.590
0.353 0.762 0.115
0.410 0.647 0.762
0.590 0.353 0.238
0.647 0.238 0.885
0.647 0.762 0.410
0.762 0.115 0.353
0.762 0.410 0.647
0.885 0.647 0.238
```

Largest 8 diffraction maxima, in order of rising 2θ, 2θ from 5° to 70°:
2theta  d (Å)  I/Imax
22.7  3.915  1000
29.5  3.033  791
35.0  2.563  570
37.5  2.398  410
42.1  2.144  780
46.4  1.958  691
48.4  1.881  299
55.9  1.645  321

---

3.
Structure and computed powder X-ray diffraction pattern of Tb11Tl9Co4 (the PBE geometry in Alexandria; Cu Kα (weighted mean of Kα1 and Kα2)).
Kinematic intensities with the Lorentz-polarization factor, no thermal factor.

Cell and atoms:
```
Tb11Tl9Co4
1.0
7.285 -10.902 0.000
7.285 10.902 0.000
0.000 0.000 3.683
Tb Tl Co
11 9 4
direct
0.000 0.000 0.000
0.087 0.419 0.000
0.163 0.837 0.000
0.314 0.314 0.000
0.375 0.625 0.000
0.419 0.087 0.000
0.581 0.913 0.000
0.625 0.375 0.000
0.686 0.686 0.000
0.837 0.163 0.000
0.913 0.581 0.000
└──
# Back to the article
(1) iPES FOOD. Special Report. Food Price Crisis. Another Perfect Storm? https://ipes-food.org/pages/foodpricecrisis
(2) Rising fertilizer prices are now skyrocketing and shortages are looming. Russia, Ukraine, China and Kyrgyzstan have imposed restrictions on fertilizer exports, and Belarusian exports have been sanctioned since 2021. Russia and Belarus together supply 40 percent of the world’s potash fertilizer; in 2021, Russia was also the leading exporter of ammonium nitrate fertilizer (49 percent of global export markets) and NPK products (38 percent), ammonia (30 percent) and urea (18 percent).
(3) Greenpeace urged the EU to shift production of fodder crops for intensive livestock into food crops for human consumption, arguing that diverting just 8 percent of the EU’s fodder crops would be enough to offset the loss of grain imports from Ukraine and ensure food access for the bloc’s poorest inhabitants. https://www.greenpeace.org/eu-unit/issues/nature-food/46105/reduce-eu-meat-factory-farming-to-replace-ukraines-wheat/
A letter signed by hundreds of scientists suggests that switching to organic farming on 25 percent of the EU’s land-as called for by the EU’s ‘Farm to Fork’-would allow Europe to drastically reduce nitrogen fertilizer imports and thus reduce exposure to price increases and shortages.
Professional journalist since January 1995, he has worked for newspapers (Il Messaggero, Paese Sera, La Stampa) and periodicals (NumeroUno, Il Salvagente). She is the author of journalistic surveys on food, she has published the book "Reading labels to know what we eat".